Bicester STW (2022)

Digital visualisation of Bicester STW highlighting major areas of scope - Courtesy of MWH Treatment
In recent years the Oxfordshire town of Bicester had undergone significant growth in its population with a further potential growth of 37% in the near future. In late 2019, Thames Water implemented the need for a growth scheme to upgrade various elements of the works to accommodate the forecast population increase. Bicester STW is a combination of activated sludge plant (ASP) and filter beds with the flow split approximately 75% to the ASP prior to the scheme. The project responded to the requirement to provide treatment capacity for the increase in population equivalent (PE) from 49,500 to 67,840 at the 2026 design horizon. Following a competitive tender process, MWH Treatment was appointed to carry out the detailed design, procurement, construction, commissioning, and testing required to demonstrate that the project had delivered the required outcomes.
Scope of works
The scope of work included improvements to both the effluent and sludge streams, with the core elements being:
Inlet works and primary treatment area
- Increasing the capacity of the chemical (ferric) dosing system including pumps and pipework.
- Improving the resilience of instrumentation on the settled sewage flow downstream of the north PSTs, including replacing the failed in-line flow meter.

(top left) Extract from 3-D model showing ASP mechanical plant including removable diffuser grids, (top right) extract from 3-D model showing air distribution pipework, (bottom left) New diffuser grids in existing aeration lane and (bottom right) refurbished aeration lane during air test – Courtesy of MWH Treatment
Activated sludge plant
- Construction of a new forth reinforced concrete aeration lane – structurally detached, but hydraulically linked to the existing three lanes.
- Replacement of the existing aeration blowers, air main manifold and motor control centre (MCC) utilising the existing blower building and permanent lifting facilities.
- Replacement of the existing ASP utilities including air distribution pipework and all power and control cabling to the retained plant.
- Incorporation of a most open valve control system as part of the aeration control philosophy.
- Installation of a new above-ground air main from the existing blower house to the existing aeration lanes via a service bridge; also used to carry cables from the new MCC.
- Equipping the new aeration lane with ‘lift-out’ fine-bubble diffusion grids, anoxic zone mixer, aeration pipework, control valves and instrumentation to achieve 3-point DO control. The individual grids allowing a section of diffusers to be removed from service whilst the lane remains live.
- Retrofitting existing Aeration Lanes 1-3 with ‘lift-out’ fine-bubble diffuser grids, aeration pipework, control valves and instrumentation to achieve 3-point DO control.
- New higher capacity return activated sludge (RAS) pumps, pipework and valves.
- Replacement of the existing return activated sludge/surplus activated sludge (SAS) MCC in an independent kiosk together with replacement of power and control cabling to existing plant and equipment.
- An upgrade to the RAS control system such that RAS flow is proportional to ASP inlet flow.
- Replace the existing RAS rising main and flowmeter.
- Modification of the existing aeration lanes outlet chamber to ensure equal distribution of flows to all final settlement tanks (FSTs).

New air distribution pipework to existing ASP – Courtesy of MWHT
Final settlement tank
- Construct a new 20.5m diameter radial flow FST with interconnecting gravity pipework, flow distribution chambers and all ancillary plant and instrumentation.
- Connection of the new FST downstream of the existing filter stream sample point.
- Replacement of diffuser drums to existing FSTs 1, 2 and 3 to current asset standard requirements.
Sludge stream
- Replacement higher capacity de-sludge pumps serving primary settlement tanks (PST) 5-8 and, separately, PST 9 & 10, including replacement of associated field mounted plant, together with power and control cabling from the existing MCC to the pumps and field mounted controls. This required modification of existing starters to accommodate the new pump loads.
- One new standby de-sludge pump for PSTs 9 & 10 including new field mounted equipment, new cabling, new MCC starters, and additional controls for the new and existing pumps.
- One new replacement de-sludge pump for PST 11 including associated field mounted equipment, power and control cabling to the pump and field mounted controls. Provision of new starter and modification of existing starter and controls.
- Provision of a third surplus activated sludge (SAS) drum thickener stream to operate in assist mode, with associated polymer dosing equipment located within the existing building.
Power supply
- Completion of a review of the overall future site power demand to facilitate Thames Water negotiating any necessary revisions to the authorised supply capacity with the district network operator.
- New site-wide fibre optic ring-main interconnecting the new and existing programmable logic controllers (PLC).
- Modification of the supervisory control and data acquisition (SCADA) and telemetry systems to incorporate the additional plant and other site changes undertaken.
- New PLCs for the RAS/SAS and blower control plus interfaces to legacy PLCs.
Miscellaneous works
- Diversion of existing services affected by the works.
- Decommissioning, dismantling, and removal of plant and equipment made redundant by the works.
- Modification of the existing main incomer switch board to suit the uprated plant and provide main feeder cabling for the new blower MCC and RAS/SAS MCC.
- Review/update site security measures to asset standards.

(left) Upgraded RAS pumping station and (right) FST4 diffuser drum installation – Courtesy of MWH Treatment
Bicester STW: Supply chain – key participants
- Principal designer & contractor: MWH Treatment
- Civil construction and pipelines: envolve infrastructure
- Mechanical installation: Alpha Plus Ltd
- Electrical installation: Lloyd Morris Electrical Ltd
- MCCs & systems integration: Total Automation & Power Ltd
- Metalwork: Steelway Fensecure
- Aeration system: Eliquo Hydrok Ltd
- Aeration blowers: Aerzen Machines
- Drum thickener: Alfa Laval Ltd
- Polymer dosing: Richard Alan Engineering Co Ltd
- FST scraper bridge: JK Fabrications
- Permanent lifting equipment: T Allen Engineering Ltd
- Kiosks: Kingsley Plastics
- Trace heating & lagging: Jade Insulation Ltd
- Technical documentation: 3rd Light Media
Engineering challenges
Activated Sludge plant (ASP): Prior to the scheme the site comprised 3 (No.) ASP lanes, configured to operate in parallel, with a common inlet and outlet chamber. The brief required the construction of a fourth lane to be seamlessly connected into the existing process.
During the ASP construction, the major challenges were the physical space for construction of the structure and its hydraulic connection to the existing ASPs.
The original construction had anticipated that at some point a fourth ASP lane would be added by incorporating a blanked off stub extension. Once the new lane had been constructed the original blanking plates could be removed. However, most of the provisions for expansion were deemed unsuitable, due to the extended period since construction. This legacy and other aspects of the design were included in a comprehensive efficiency challenge process.

ASP air main during construction – Courtesy of MWH Treatment
Another key challenge was the positioning of the new 4th lane relative to ASP3 and the risk of differential settlement. The new structure was built independently with the only interconnections being the inlet and outlet channels, where flexibility was incorporated to accommodate differential movement.
A further engineering challenge resulted from the operational constraint that 2 of the ASP lanes were required to be kept in service at all times and the third could only be taken out of service for a period of up to 10 hours.
This was further complicated by the fact that the existing lanes were being retrofitted with the new aeration system. This required the new ASP lane to be completed and fully process commissioned before release of any of the existing lanes for retrofitting. Sequencing and logistics during installation were therefore key to ensuring the site always met its discharge consent during construction. Designing for construction and commissioning was included from the concept design to provide flexibility during the construction phase. An example of this was the location of the new motor control centre (MCC) to be installed to replace the existing.

== Misplaced materials data ==
┌──
# PBE BaMn2Os, optimized geometry
data_BaMn2Os
_cell_length_a 3.080
_cell_length_b 3.080
_cell_length_c 8.122
_cell_angle_alpha 90.00
_cell_angle_beta 90.00
_cell_angle_gamma 90.00
_space_group_name_H-M_alt 'P 4 m m'
_space_group_IT_number 99
loop_
_space_group_symop_operation_xyz
'x,y,z'
'-y,x,z'
'-x,-y,z'
'y,-x,z'
'-x,y,z'
'y,x,z'
'x,-y,z'
'-y,-x,z'
loop_
_atom_site_label
_atom_site_type_symbol
_atom_site_fract_x
_atom_site_fract_y
_atom_site_fract_z
_atom_site_occupancy
Ba1 Ba 0.000 0.000 0.000 1
Mn1 Mn 0.000 0.000 0.529 1
Mn2 Mn 0.500 0.500 0.347 1
Os1 Os 0.500 0.500 0.677 1
# * total moment: 4.69 μB/f.u.
# * V: 77.08 Å³ per cell
# * energy relative to the lowest polymorph listed for this composition: 0.238 eV/atom
# * formation energy from the elements: 0.6571 eV/atom

* * * * *

H13Os3C17NO10: relaxed, GGA-PBE.

Calculated values
electronic total energy: -308.99 eV per formula unit
total magnetic moment: 0.000 μB/atom
calculated volume: 11.357 A^3/atom

abc: 8.979 9.163 12.755
angles: 83.85 73.32 88.53
Space group P-1 (No. 2)
Unique sites:
1 H 0.011 0.158 0.092 (multiplicity 2)
2 H 0.033 0.144 0.635 (multiplicity 2)
3 H 0.068 0.099 0.835 (multiplicity 2)
4 H 0.072 0.086 0.406 (multiplicity 2)
5 H 0.094 0.765 0.622 (multiplicity 2)
6 H 0.101 0.902 0.051 (multiplicity 2)
7 H 0.126 0.721 0.209 (multiplicity 2)
8 H 0.156 0.721 0.848 (multiplicity 2)
9 H 0.156 0.825 0.378 (multiplicity 2)
10 H 0.201 0.123 0.103 (multiplicity 2)
11 H 0.238 0.076 0.291 (multiplicity 2)
12 H 0.269 0.860 0.174 (multiplicity 2)
13 H 0.373 0.573 0.598 (multiplicity 2)
14 Os 0.235 0.477 0.722 (multiplicity 2)
15 Os 0.425 0.730 0.661 (multiplicity 2)
16 Os 0.490 0.499 0.816 (multiplicity 2)
17 C 0.057 0.927 0.136 (multiplicity 2)
18 C 0.074 0.480 0.652 (multiplicity 2)
19 C 0.078 0.091 0.139 (multiplicity 2)
20 C 0.081 0.779 0.708 (multiplicity 2)
21 C 0.090 0.884 0.326 (multiplicity 2)
22 C 0.114 0.048 0.324 (multiplicity 2)
23 C 0.117 0.402 0.864 (multiplicity 2)
24 C 0.143 0.839 0.209 (multiplicity 2)
25 C 0.181 0.702 0.762 (multiplicity 2)
26 C 0.309 0.288 0.681 (multiplicity 2)
27 C 0.324 0.437 0.161 (multiplicity 2)
28 C 0.359 0.284 0.416 (multiplicity 2)
29 C 0.359 0.620 0.921 (multiplicity 2)
30 C 0.372 0.859 0.552 (multiplicity 2)
31 C 0.400 0.587 0.318 (multiplicity 2)
32 C 0.447 0.315 0.904 (multiplicity 2)
33 C 0.460 0.876 0.746 (multiplicity 2)
34 N 0.031 0.129 0.252 (multiplicity 2)
35 O 0.030 0.524 0.384 (multiplicity 2)
36 O 0.047 0.359 0.954 (multiplicity 2)
37 O 0.208 0.402 0.146 (multiplicity 2)
38 O 0.226 0.286 0.461 (multiplicity 2)
39 O 0.285 0.696 0.983 (multiplicity 2)
40 O 0.332 0.636 0.398 (multiplicity 2)
41 O 0.338 0.940 0.485 (multiplicity 2)
42 O 0.346 0.169 0.660 (multiplicity 2)
43 O 0.421 0.203 0.959 (multiplicity 2)
44 O 0.478 0.963 0.802 (multiplicity 2)

H9Os3C11SNO9: relaxed, GGA-PBE.

Calculated values
electronic total energy: -234.25 eV per formula unit
total magnetic moment: 0.000 μB/atom
calculated volume: 12.594 A^3/atom
└──
== The text goes on ==

Completed new and furbished ASP lanes – Courtesy of MWH Treatment
A detailed assessment of the structural suitability of the existing mezzanine floor to support the existing and new MCCs during commissioning was required. The project team was able to install and commission the new blowers and the associated MCC without any process capacity reduction; maintaining ASP performance at all times. The constraints of having to maintain operation of the existing ASPs and reusing the existing building required a phased transition from existing to new control systems. This added to the logistical challenge of maintaining the effluent consent. The phasing required detailed liaison with the site’s operational team who were critical to successful project delivery.
MWH Treatment coordinated the design of four key members of the supply-chain across all engineering disciplines: the civil structure, the mechanical plant, the electrical installation, and the systems integration. Further subcontractors contributed to the ancillary works, and all were coordinated through the use of BIM. MWHT’s supply-chain provided BIM models of their individual plant which was used to produce an overall federated model. The model was required to be built in a very specific sequence replicating the subsequent construction. The different disciplines were included in different model layers which minimised service clashes and allowed the build sequence to be digitally rehearsed to improve coordination of the supply-chain activities.
Final settlement tank (FST) No. 4: Prior to the project the ASP stream operated with three FSTs. From the arrangement, physical investigation, and review of records, it was determined that the site originally consisted of two FSTs with the third added to increase capacity at later date. With growth in the catchment an additional FST was now required.

FST4 during water drop test – Courtesy of MWH Treatment
Final Settlement Tank 4 also had its engineering challenges. The primary issue being how to negate flotation of the structure itself. As part of the initial structural design, it was proposed that the sub-structure foundation was to be mass-filled with 4m to 5m of concrete down to bed-rock. This would have involved a significant amount of excavation down to the rock sub-strata before the mass concrete could be placed. This situation was exacerbated when the ground investigation determined that the underlying limestone was 1m deeper than anticipated. To overcome this, it was proposed that an alternative approach of installing piles would be a more cost and time effective foundation. Cost in that it would remove the need to bulk excavate down to the bed-rock, and time in that the overall foundation period would be significantly reduced. The change was carefully managed as part of a project delivery efficiency review and incorporated with no delay to the overall programme. The option also reduced the embedded carbon footprint of the project.
FST 4 Design challenges: Although the site was evidently designed to deal with future updates and upgrades, it was only designed to deal with a maximum of three final settlement tanks. The introduction of the fourth FST to cope with the additional flows created a challenge in how to uniformly distribute flows.

Extract from 3-D model showing ASP discharge flow distribution structure – Courtesy of MWH Treatment
Pre-scheme, the flow distribution chamber was designed to equally distribute flows from the three existing ASPs. To incorporate FST 4, the design remodelled this chamber so that there were three modified apertures; FST 1, FST 2 and FSTs 3&4 combined. To achieve this, the weir widths were adjusted so that FSTs 1 and 2 were 800mm wide and the combined weir to FSTs 3&4 was 1600mm wide.
The combined flow to FST3 3 and FST4 was then bifurcated at a new distribution chamber with the facility to allow fine tuning of flow distribution via two manually adjustable weir penstocks.
The biggest challenge for this remodelling was the logistics of construction and installation whilst maintaining the site fully operational; given the longest available outage was 10 hours. In order to coordinate these works a 4-D visualisation of the sequence of works was created. This was colour-coded to demonstrate the allocation of works between subcontractors. The visualisation is shown here:
Video: Bicester STW – FST 4 Flow Distribution
Additional sludge processing capacity: The required increase in sludge stream capacity in consequence of the effluent stream upgrade was addressed through the installation of an additional drum thickener to supplement the two existing units. The key engineering challenge was associated with upgrading the existing polymer dosing system in situ, followed by integration of the new drum thickener. Success was achieved by early involvement of the supply chain and additional collaborative planning workshops. Further improvements to the de-sludging system were made and with tanks removed from service in turn to facilitate construction; again requiring close liaison with the site’s operational team.
The project spanned the height of the Covid-19 pandemic. It is a testament to the collaborative working of the project’s delivery team that the potential time impacts were effectively mitigated. Uncertainty around Government restrictions on how projects were be managed did initially impact on progress. However, delay was recovered by resequencing work to limit numbers working in proximity and a monitoring programme was put in place to detect infection before workers arrived at site. Through these and other measures no single Covid-19 case impacted progress.

PST pump installation during M&E phase – Courtesy of MWH Treatment
Through an integrated approach including the client’s staff and the supply chain, the project team has delivered a significant upgrade to Bicester STW. The project was completed early in December 2021 and is now providing service to Thames Water’s customers and will continue to do so as the predicted population growth arrives. It is also worth noting that the project had an industry leading safety performance with no lost time injuries.